Listing >
┌──
No. 1
19
Properties=species:S:1:pos:R:3:forces:R:3 method="wB97M-V/def2-TZVPD" orbital_gap_ev=10.1117 lumo_energy_ev=-3.041 charge=+1 e_homo_ev=-13.2
C 1.351 -0.061 0.167 -0.066 0.827 2.517
C 2.516 -0.704 -0.291 1.853 -0.197 -5.043
C -1.905 -1.254 0.195 0.807 -1.907 -1.318
C -1.526 0.097 0.540 -0.296 -0.498 -0.437
N 0.281 0.142 -0.609 -4.851 -0.006 0.056
N -2.311 1.073 0.164 -1.381 -0.228 -2.211
N 1.085 1.327 -0.388 1.795 -0.850 -0.744
H 1.304 -0.090 1.266 -0.527 0.310 0.059
H 2.776 -1.653 0.060 -0.221 -1.553 0.727
H 3.295 -0.068 0.010 1.648 0.712 0.218
H 2.500 -0.744 -1.494 0.166 0.021 2.650
H -1.604 -1.233 -0.855 -0.577 -0.980 -0.331
H -1.334 -2.067 0.689 -0.092 0.806 -0.181
H -2.951 -1.514 0.322 -0.208 0.416 -0.084
H -1.156 0.160 1.506 1.581 0.936 1.621
H -2.912 1.015 -0.698 1.026 -0.148 1.353
H -2.044 1.977 0.410 0.081 1.724 0.539
H 0.990 2.118 0.229 -0.710 0.061 0.380
H 1.644 1.479 -1.224 -0.028 0.555 0.228

No. 2
19
Properties=species:S:1:pos:R:3:forces:R:3 method="wB97M-V/def2-TZVPD" orbital_gap_ev=9.3781 lumo_energy_ev=-3.699 charge=+1 e_homo_ev=-13.1
C 0.051 -0.779 -1.414 -0.508 1.405 1.238
C 1.097 0.147 -0.925 -0.654 1.833 1.667
C -2.465 0.975 -0.387 0.686 1.772 0.161
C -1.772 -0.226 0.167 0.375 0.224 -6.986
N -1.082 -0.866 -0.847 -0.330 -0.622 1.670
N -2.089 -0.738 1.277 0.657 -0.864 2.817
N 3.238 -0.141 1.212 -1.702 2.484 -0.154
H 0.257 -1.368 -2.284 -0.196 -0.481 -0.418
H 1.761 0.514 -1.688 0.003 0.127 -0.506
H 0.637 1.089 -0.319 1.053 -2.340 -1.413
H 1.748 -0.389 -0.220 -0.452 0.271 -0.014
H -1.791 1.604 -1.013 -0.019 -0.874 0.257
H -2.490 1.557 0.523 -1.313 0.896 0.080
H -3.385 0.923 -1.022 0.525 -0.589 1.208
H -2.771 -0.198 1.889 1.437 -1.474 -0.693
H -1.401 -1.491 1.546 -1.728 0.848 0.607
H 3.643 0.562 0.643 0.640 0.648 -0.077
H 3.577 -0.209 2.111 1.099 -0.019 1.982
H 3.238 -0.966 0.752 0.428 -3.244 -1.427

No. 3
20
Properties=species:S:1:pos:R:3:forces:R:3 method="wB97M-V/def2-TZVPD" orbital_gap_ev=6.6613 lumo_energy_ev=4.036 charge=-1 e_homo_ev=-2.6 smiles=NCNCCNC[O-]
N -0.920 2.521 1.517 0.548 -0.771 0.670
C 0.074 1.539 1.018 -0.353 1.248 -0.749
N 0.083 1.486 -0.434 -0.400 -0.070 -0.456
C -0.515 0.316 -1.053 -0.233 0.130 -0.326
C 0.452 -0.822 -1.321 0.196 0.517 0.868
N 1.041 -1.299 -0.051 -0.549 -0.945 -0.564
C 0.112 -2.380 0.544 -0.336 0.277 0.289
O -0.231 -3.349 -0.280 0.049 0.046 -0.084
H -0.650 3.449 1.229 -0.292 0.065 -0.368
H -1.803 2.245 1.116 -0.224 0.446 -0.142
H 1.049 1.909 1.326 0.099 -0.462 0.445
H -0.220 0.581 1.431 0.492 -0.197 0.140
H 0.952 1.676 -0.907 0.331 0.066 0.531
H -1.319 -0.022 -0.408 -0.151 -0.241 0.227
H -1.022 0.610 -1.982 0.142 0.001 -0.090
H -0.061 -1.611 -1.874 0.122 -0.228 -0.055
H 1.320 -0.440 -1.868 -0.224 0.133 -0.535
H 1.749 -1.922 -0.421 0.603 -0.070 0.294
H -0.749 -1.776 0.955 -0.014 -0.010 -0.057
H 0.659 -2.711 1.462 0.193 0.066 -0.040

No. 4
20
Properties=species:S:1:pos:R:3:forces:R:3 method="wB97M-V/def2-TZVPD" orbital_gap_ev="1.9996 / 6.4188" lumo_energy_ev="6.194 / 6.100" charge=-2 spin_multiplicity=2 e_homo_ev="4.2 / -0.3"
N 1.603 2.912 -1.848 -0.376 -0.024 -0.017
C 1.135 1.986 -0.884 0.646 0.891 -0.761
N 1.772 0.765 -0.939 -1.182 0.422 0.320
N 0.198 2.338 -0.058 -0.220 -0.045 -0.016
H 1.562 3.891 -1.569 -0.139 -0.053 0.032
H 2.516 2.713 -2.219 0.458 -0.113 -0.191
H 2.158 0.615 -1.872 -0.083 0.017 0.466
H 1.179 -0.106 -0.398 0.667 0.126 -0.166
H -0.152 3.284 -0.300 0.651 -0.694 0.146
C -0.571 -0.522 0.782 -0.048 -0.251 0.115
O 0.582 -1.085 0.308 0.380 0.147 -0.118
C -1.360 -1.611 1.503 -0.204 -0.128 0.646
C -1.446 -2.862 0.646 -0.277 0.030 -0.567
H -1.172 -0.075 -0.049 -0.101 -0.153 0.346
H -0.409 0.302 1.507 -0.007 -0.004 -0.245
H -2.372 -1.245 1.775 0.260 -0.161 -0.033
H -0.816 -1.848 2.442 -0.271 0.103 -0.283
H -2.109 -3.635 1.063 0.068 0.039 -0.002
H -0.451 -3.276 0.443 -0.235 0.167 0.180
H -1.845 -2.540 -0.332 0.014 -0.316 0.147

No. 5
20
└──
Exercise >
Reproduce all of the material further above unchanged.
Result >
No. 1
19
Properties=species:S:1:pos:R:3:forces:R:3 method="wB97M-V/def2-TZVPD" orbital_gap_ev=10.1117 lumo_energy_ev=-3.041 charge=+1 e_homo_ev=-13.2
C 1.351 -0.061 0.167 -0.066 0.827 2.517
C 2.516 -0.704 -0.291 1.853 -0.197 -5.043
C -1.905 -1.254 0.195 0.807 -1.907 -1.318
C -1.526 0.097 0.540 -0.296 -0.498 -0.437
N 0.281 0.142 -0.609 -4.851 -0.006 0.056
N -2.311 1.073 0.164 -1.381 -0.228 -2.211
N 1.085 1.327 -0.388 1.795 -0.850 -0.744
H 1.304 -0.090 1.266 -0.527 0.310 0.059
H 2.776 -1.653 0.060 -0.221 -1.553 0.727
H 3.295 -0.068 0.010 1.648 0.712 0.218
H 2.500 -0.744 -1.494 0.166 0.021 2.650
H -1.604 -1.233 -0.855 -0.577 -0.980 -0.331
H -1.334 -2.067 0.689 -0.092 0.806 -0.181
H -2.951 -1.514 0.322 -0.208 0.416 -0.084
H -1.156 0.160 1.506 1.581 0.936 1.621
H -2.912 1.015 -0.698 1.026 -0.148 1.353
H -2.044 1.977 0.410 0.081 1.724 0.539
H 0.990 2.118 0.229 -0.710 0.061 0.380
H 1.644 1.479 -1.224 -0.028 0.555 0.228

No. 2
19
Properties=species:S:1:pos:R:3:forces:R:3 method="wB97M-V/def2-TZVPD" orbital_gap_ev=9.3781 lumo_energy_ev=-3.699 charge=+1 e_homo_ev=-13.1
C 0.051 -0.779 -1.414 -0.508 1.405 1.238
C 1.097 0.147 -0.925 -0.654 1.833 1.667
C -2.465 0.975 -0.387 0.686 1.772 0.161
C -1.772 -0.226 0.167 0.375 0.224 -6.986
N -1.082 -0.866 -0.847 -0.330 -0.622 1.670
N -2.089 -0.738 1.277 0.657 -0.864 2.817
N 3.238 -0.141 1.212 -1.702 2.484 -0.154
H 0.257 -1.368 -2.284 -0.196 -0.481 -0.418
H 1.761 0.514 -1.688 0.003 0.127 -0.506
H 0.637 1.089 -0.319 1.053 -2.340 -1.413
H 1.748 -0.389 -0.220 -0.452 0.271 -0.014
H -1.791 1.604 -1.013 -0.019 -0.874 0.257
H -2.490 1.557 0.523 -1.313 0.896 0.080
H -3.385 0.923 -1.022 0.525 -0.589 1.208
H -2.771 -0.198 1.889 1.437 -1.474 -0.693
H -1.401 -1.491 1.546 -1.728 0.848 0.607
H 3.643 0.562 0.643 0.640 0.648 -0.077
H 3.577 -0.209 2.111 1.099 -0.019 1.982
H 3.238 -0.966 0.752 0.428 -3.244 -1.427

No. 3
20
Properties=species:S:1:pos:R:3:forces:R:3 method="wB97M-V/def2-TZVPD" orbital_gap_ev=6.6613 lumo_energy_ev=4.036 charge=-1 e_homo_ev=-2.6 smiles=NCNCCNC[O-]
N -0.920 2.521 1.517 0.548 -0.771 0.670
C 0.074 1.539 1.018 -0.353 1.248 -0.749
N 0.083 1.486 -0.434 -0.400 -0.070 -0.456
C -0.515 0.316 -1.053 -0.233 0.130 -0.326
C 0.452 -0.822 -1.321 0.196 0.517 0.868
N 1.041 -1.299 -0.051 -0.549 -0.945 -0.564
C 0.112 -2.380 0.544 -0.336 0.277 0.289
O -0.231 -3.349 -0.280 0.049 0.046 -0.084
H -0.650 3.449 1.229 -0.292 0.065 -0.368
H -1.803 2.245 1.116 -0.224 0.446 -0.142
H 1.049 1.909 1.326 0.099 -0.462 0.445
H -0.220 0.581 1.431 0.492 -0.197 0.140
H 0.952 1.676 -0.907 0.331 0.066 0.531
H -1.319 -0.022 -0.408 -0.151 -0.241 0.227
H -1.022 0.610 -1.982 0.142 0.001 -0.090
H -0.061 -1.611 -1.874 0.122 -0.228 -0.055
H 1.320 -0.440 -1.868 -0.224 0.133 -0.535
H 1.749 -1.922 -0.421 0.603 -0.070 0.294
H -0.749 -1.776 0.955 -0.014 -0.010 -0.057
H 0.659 -2.711 1.462 0.193 0.066 -0.040

No. 4
20
Properties=species:S:1:pos:R:3:forces:R:3 method="wB97M-V/def2-TZVPD" orbital_gap_ev="1.9996 / 6.4188" lumo_energy_ev="6.194 / 6.100" charge=-2 spin_multiplicity=2 e_homo_ev="4.2 / -0.3"
N 1.603 2.912 -1.848 -0.376 -0.024 -0.017
C 1.135 1.986 -0.884 0.646 0.891 -0.761
N 1.772 0.765 -0.939 -1.182 0.422 0.320
N 0.198 2.338 -0.058 -0.220 -0.045 -0.016
H 1.562 3.891 -1.569 -0.139 -0.053 0.032
H 2.516 2.713 -2.219 0.458 -0.113 -0.191
H 2.158 0.615 -1.872 -0.083 0.017 0.466
H 1.179 -0.106 -0.398 0.667 0.126 -0.166
H -0.152 3.284 -0.300 0.651 -0.694 0.146
C -0.571 -0.522 0.782 -0.048 -0.251 0.115
O 0.582 -1.085 0.308 0.380 0.147 -0.118
C -1.360 -1.611 1.503 -0.204 -0.128 0.646
C -1.446 -2.862 0.646 -0.277 0.030 -0.567
H -1.172 -0.075 -0.049 -0.101 -0.153 0.346
H -0.409 0.302 1.507 -0.007 -0.004 -0.245
H -2.372 -1.245 1.775 0.260 -0.161 -0.033
H -0.816 -1.848 2.442 -0.271 0.103 -0.283
H -2.109 -3.635 1.063 0.068 0.039 -0.002
H -0.451 -3.276 0.443 -0.235 0.167 0.180
H -1.845 -2.540 -0.332 0.014 -0.316 0.147

No. 5
20